After the long winter I think everyone is happy to be outside dealing with turf issues, but depending on where you are, those issues could be quite extreme. I’ve seen excessive Bermuda loss in the South (and North) and equally significant cool season turf loss up North. Turf managers are working their magic to recover, and over the next 60 days golfers will have long forgotten the damage caused by winter.  Everyone knows the fact that you’re only as good as the greens putt today.

Be sure to document your damage with pictures and keep a detailed record of expenses to repair. The good news: There are steps you can take this fall to reduce damage next year. I’ve had the opportunity to see a lot of the damage, North and South, and here are a few things that seem to make a difference.

In the South

Attached: quantum chemistry results:
=====
(1)
Molecular formula: C26H27BCeN4O5S2SeSi
Method: DFT, the ωB97M-V functional and the def2-TZVPD basis

Each line ends with the Löwdin spin population.
CARTESIAN COORDINATES (ANGSTROEM)
1 Ce 0.237 1.273 0.224  1.01
2 C -3.313 -0.575 -1.846  0.00
3 N -3.058 -1.164 -0.548  0.00
4 C -3.987 -1.376 0.443  0.00
5 C -3.323 -1.948 1.473  0.00
6 N -2.001 -2.088 1.124  0.00
7 B -1.063 -2.960 2.040  0.00
8 N 0.425 -2.523 1.996  0.00
9 C 1.423 -3.343 1.525  0.00
10 C 2.599 -2.684 1.610  0.00
11 N 2.316 -1.443 2.135  0.00
12 C 3.294 -0.410 2.422  0.00
13 C 0.985 -1.360 2.364  0.00
14 S 0.188 0.054 2.930  0.00
15 C -1.844 -1.578 -0.114  0.00
16 S -0.391 -1.396 -1.012  0.00
17 H -4.384 -0.397 -1.927  0.00
18 H -2.994 -1.260 -2.631  0.00
19 H -2.771 0.365 -1.926  0.00
20 H -5.013 -1.078 0.327  0.00
21 H -3.670 -2.268 2.438  0.00
22 H -1.509 -2.858 3.153  0.00
23 H -1.085 -4.102 1.648  0.00
24 H 1.192 -4.319 1.145  0.00
25 H 3.597 -2.956 1.322  0.00
26 H 4.174 -0.604 1.816  0.00
27 H 3.551 -0.421 3.482  0.00
28 H 2.892 0.564 2.154  0.00
29 O 3.997 2.685 -1.364  0.00
30 Se 2.627 2.108 -0.764  0.00
31 O 2.155 2.674 0.735  0.00
32 O 2.497 0.469 -0.542  0.00
33 O 1.227 2.420 -1.650  0.00
34 O -1.917 1.761 -0.341  0.00
35 Si -2.562 3.173 0.121  0.00
36 C -1.374 3.915 1.384  0.00
37 C -0.594 5.034 1.074  0.00
38 C 0.385 5.496 1.942  0.00
39 C 0.616 4.841 3.142  0.00
40 C -0.136 3.723 3.473  0.00
41 C -1.118 3.270 2.603  0.00
42 C -2.646 4.288 -1.391  0.00
43 C -3.454 5.423 -1.474  0.00
44 C -3.442 6.236 -2.598  0.00
45 C -2.612 5.926 -3.666  0.00
46 C -1.800 4.803 -3.603  0.00
47 C -1.820 3.991 -2.476  0.00
48 C -4.273 2.980 0.873  0.00
49 C -4.587 3.215 2.208  0.00
50 C -5.863 2.974 2.703  0.00
51 C -6.853 2.489 1.864  0.00
52 C -6.565 2.255 0.525  0.00
53 C -5.291 2.500 0.042  0.00
54 H -0.739 5.540 0.126  0.00
55 H 0.988 6.350 1.663  0.00
56 H 1.398 5.185 3.806  0.00
57 H 0.060 3.185 4.392  0.00
58 H -1.678 2.373 2.863  0.00
59 H -4.112 5.680 -0.651  0.00
60 H -4.080 7.111 -2.641  0.00
61 H -2.598 6.560 -4.543  0.00
62 H -1.142 4.556 -4.426  0.00
63 H -1.170 3.127 -2.438  0.00
64 H -3.829 3.597 2.882  0.00
65 H -6.083 3.162 3.747  0.00
66 H -7.847 2.294 2.248  0.00
67 H -7.338 1.884 -0.137  0.00
68 H -5.079 2.316 -1.006  0.00

Forces on the atoms, in the same order (eV/Å):
Ce -1.983 -1.205 0.521
C 0.005 0.037 0.008
N 0.059 -0.025 0.068
C -0.022 -0.059 0.060
C -0.115 0.071 -0.048
N -0.092 0.107 -0.103
B -0.030 0.087 -0.018
N 0.199 0.003 -0.001
C 0.076 0.006 -0.018
C -0.036 -0.069 -0.014
N -0.062 -0.012 0.025
C -0.049 -0.004 -0.044
C -0.113 0.206 -0.199
S -0.084 0.010 0.123
C 0.132 -0.035 0.124
S 0.160 0.028 0.055
H 0.007 0.016 0.000
H 0.018 0.031 0.005
H -0.012 0.002 -0.038
H -0.032 0.000 0.031
H -0.042 -0.002 0.027
H 0.021 0.016 0.101
H -0.019 -0.083 -0.052
H 0.022 -0.038 -0.021
H 0.023 -0.042 -0.013
H 0.011 0.023 0.000
H 0.004 0.026 0.003
H 0.041 -0.010 0.030
O -0.171 -0.107 0.123
Se 0.915 0.633 -0.870
O 0.242 0.043 -0.109
O 0.170 0.165 -0.013
O 0.552 0.033 0.241
=====

Bermudagrass that was over seeded with annual ryegrass is in much better condition. Walking on side-by-side fields, the Bermuda within the rye appears to be green and ready to make a move. Unfortunately the Bermuda on the adjacent field (not over seeded) is going to need seed or springs in the near future.  Another noteworthy observation appears to be that fall applied molasses will help the plant store more carbohydrates and help fight off winter damage.  It also helps the plant come out of dormancy quicker when applied in the spring. Foliar-Pak Amperage is a great molasses product, and the rest of Foliar-Pak line has been excellent for recovery.

landscape view of lawn

/*
Entry from OMol25: a 7-piece molecular cluster, C27H30F9IN2O22 overall (ωB97M-V/def2-TZVPD).

Each line ends with the Mulliken charge.
Positions of all 91 atoms, in Å:
C 9.283 -2.170 -1.761  -0.90
C 9.077 -0.648 -2.234  -0.42
C 8.332 -0.469 -3.646  -0.58
I 7.213 1.439 -3.499  0.06
C 7.275 -1.618 -3.998  0.42
O 7.610 -2.783 -4.349  -0.49
O 5.842 -1.369 -3.985  -0.36
C 5.271 -1.631 -2.696  1.09
F 6.196 -1.578 -1.599  -0.40
C 4.185 -0.426 -2.419  -1.00
N 2.812 -1.004 -2.554  -0.21
C 1.879 -0.132 -1.755  -0.66
N 4.512 -2.915 -2.598  0.47
C 4.997 -3.796 -1.527  0.31
O 6.016 -4.493 -1.537  -0.40
F 4.207 -3.793 -0.306  -0.26
C 4.362 -3.601 -3.882  0.57
O 4.902 -4.653 -4.240  -0.46
F 3.523 -2.950 -4.854  -0.26
H 8.453 -2.538 -1.046  0.16
H 10.249 -2.185 -1.121  0.35
H 9.454 -2.914 -2.607  0.24
H 8.578 -0.059 -1.377  0.29
H 10.130 -0.193 -2.358  0.38
H 9.060 -0.309 -4.529  0.51
H 4.375 0.068 -1.398  0.36
H 4.314 0.339 -3.257  0.27
H 2.511 -0.974 -3.546  0.25
H 2.234 0.956 -1.853  0.14
H 0.824 -0.294 -2.161  0.31
H 1.995 -0.455 -0.654  0.22
C -0.031 4.571 -1.617  -0.59
C -0.493 3.329 -0.927  1.05
O 0.600 2.445 -1.082  -0.29
C 1.703 3.246 -1.149  0.73
O 2.829 2.858 -1.012  -0.57
O 1.369 4.546 -1.384  -0.33
F -1.571 2.795 -1.556  -0.32
H -0.220 4.550 -2.694  0.31
H -0.483 5.472 -1.199  0.33
H -0.710 3.460 0.136  -0.32
C 2.853 3.817 4.128  -0.50
C 3.467 3.218 2.903  0.27
O 2.396 3.194 1.984  -0.14
C 1.594 4.237 2.334  0.53
O 0.741 4.694 1.629  -0.47
O 1.886 4.702 3.580  -0.33
F 3.867 1.945 3.133  -0.29
H 2.351 3.074 4.754  0.29
H 3.579 4.357 4.738  0.28
H 4.296 3.797 2.487  0.33
C -4.199 4.453 1.801  -0.39
C -4.657 3.209 2.493  0.18
O -3.561 2.330 2.339  -0.30
C -2.461 3.131 2.272  0.69
O -1.337 2.742 2.410  -0.48
O -2.797 4.431 2.035  -0.29
F -5.730 2.673 1.868  -0.23
H -4.388 4.430 0.724  0.28
H -4.652 5.353 2.218  0.29
H -4.876 3.341 3.557  0.25
C 3.084 -7.068 -0.579  -0.27
C 1.843 -6.289 -0.313  0.42
O 0.903 -7.289 0.028  -0.33
C 1.634 -8.299 0.583  0.57
O 1.167 -9.190 1.230  -0.50
O 2.965 -8.163 0.317  -0.33
F 1.414 -5.658 -1.433  -0.29
H 3.134 -7.445 -1.605  0.28
H 3.986 -6.490 -0.372  0.16
H 1.932 -5.569 0.506  0.28
C -9.319 0.428 -0.372  -0.53
C -8.023 0.908 -0.945  0.31
O -7.866 2.185 -0.361  -0.32
C -8.503 2.116 0.841  0.66
O -8.356 2.907 1.725  -0.49
O -9.323 1.030 0.915  -0.20
F -8.111 1.055 -2.288  -0.29
H -10.186 0.777 -0.939  0.27
H -9.364 -0.660 -0.297  0.31
H -7.162 0.281 -0.696  0.29
C -11.048 0.377 3.622  -0.04
C -10.701 -1.073 3.736  0.29
O -9.881 -1.119 4.885  -0.30
C -10.303 -0.089 5.674  0.60
O -10.032 0.024 6.833  -0.51
O -11.079 0.792 4.980  -0.33
F -9.973 -1.486 2.669  -0.25
H -10.289 0.951 3.084  0.04
H -12.014 0.537 3.141  0.29
H -11.564 -1.733 3.874  0.25

Multiplicity   1
LUMO   -0.006 Ha
Frontier orbital gap   8.672 eV
SMILES string   CC[C@H](I)C(=O)O[C@@](F)(CNC)N(C(=O)F)C(=O)F.O=C1OC[C@@H](F)O1.O=C1OC[C@@H](F)O1.O=C1OC[C@@H](F)O1.O=C1OC[C@@H](F)O1.O=C1OC[C@@H](F)O1.O=C1OC[C@@H](F)O1
Charge   0
*/
Back to the article >

The photos above were taken last Friday. This Bermudagrass was treated with two applications of L-18 Activator and Micros Plus and four applications of Holganix last year. It also received a spring application of L-18 Activator and Micros Plus about a week ago. The superintendent says the overall turf loss is less than 1%, and while about 15% of the turf is weaker than the rest, it will recover and should have no issues within a month.

In the North

Turf managers who used a late fall surfactant combined with a late aerification came through winter much better. Wetting agents are normally considered summer products, but that’s not the case. Wetting agents are broken down and consumed by microbes. As the temperature drops so does the microbial activity, allowing the wetting agent to hang around for a long time. Having a wetting agent in place for the early spring freeze/thaw can help move water away from the crown. Obviously the late aerification will create more pore space for water movement. As water gets into the aerification holes over winter, it will freeze and expand, further fracturing the soil and making more room for roots in the spring!  Last thing, don’t forget the late heavy topdressing is critical and acts like a winter blanket for your turf.